== Request ==
Search the calculation results below for the word "C27H65FN2O15S" and duplicate each line that has it.
== Input ==
<<<
(1)
{
  "formula": "C27H65FN2O15S",
  "method": "ωB97M-V/def2-TZVPD",
  "total_energy_ha": -2803.58527,
  "e_lumo_ev": 0.5,
  "spin_multiplicity": 1,
  "elements": ["C", "C", "H", "C", "H", "O", "C", "O", "H", "H", "H", "C", "H", "H", "C", "C", "C", "H", "O", "H", "O", "C", "O", "C", "H", "H", "O", "C", "C", "C", "H", "O", "H", "H", "H", "H", "H", "O", "H", "C", "H", "H", "C", "H", "H", "H", "H", "O", "H", "O", "H", "H", "H", "H", "N", "C", "H", "H", "O", "H", "H", "O", "C", "C", "H", "H", "H", "H", "H", "H", "H", "H", "H", "O", "C", "H", "O", "H", "S", "H", "C", "H", "H", "H", "H", "H", "H", "C", "H", "H", "H", "H", "H", "O", "H", "C", "C", "N", "C", "C", "F", "H", "H", "C", "H", "H", "C", "H", "H", "H", "H"],
  "xyz": [[-6.172, 0.071, -0.471], [-2.401, 4.128, 3.358], [10.447, 1.026, -6.201], [9.928, 1.763, -5.586], [-4.301, -8.323, 9.552], [-2.881, 1.954, 4.309], [8.291, 2.233, -7.325], [11.062, 3.495, -6.835], [-4.800, 1.271, 3.914], [-4.251, 0.122, -3.700], [8.057, 1.385, -9.270], [-3.970, 4.738, 5.116], [10.081, 3.825, -5.038], [7.221, 2.456, -7.343], [10.242, -0.431, -8.810], [-5.565, -5.311, 4.744], [-3.804, 0.314, 0.037], [8.815, 3.142, -7.622], [9.913, 0.914, -8.545], [-3.779, -0.631, 0.585], [0.789, 3.197, -3.390], [-3.070, 5.257, 6.215], [-3.697, -0.956, -2.017], [-4.439, -3.328, 5.334], [-1.545, 4.194, 4.032], [4.291, 3.357, -3.827], [-5.000, -4.538, 5.789], [-3.704, -0.785, -3.417], [8.530, 1.115, -8.316], [-5.494, -6.789, 5.056], [-2.686, -0.730, -3.817], [-4.215, -7.372, 4.856], [-7.571, -1.431, 0.128], [-2.347, -7.575, 7.655], [0.039, 4.413, 6.809], [-6.146, -7.302, 4.346], [-3.513, -8.753, 6.995], [-5.113, 0.869, 0.030], [-3.908, 0.466, 5.221], [10.695, 3.065, -5.536], [1.050, -0.522, -2.707], [-3.719, 2.653, 2.543], [-3.177, -7.038, 5.764], [-5.945, -0.318, -1.465], [-2.267, -7.431, 5.304], [-0.554, 5.924, 6.094], [-3.346, 1.088, -1.903], [-4.317, -7.068, 7.899], [3.624, 2.024, -2.955], [-3.474, 4.943, 3.803], [5.381, 1.456, -5.365], [-6.620, -5.024, 4.633], [-3.482, 0.126, 3.527], [-3.056, -5.957, 5.852], [1.649, 0.277, -2.883], [11.155, 4.897, -6.946], [-3.202, 1.030, 0.600], [-2.753, 6.276, 5.966], [3.035, 2.272, -4.950], [2.595, -0.076, -2.921], [11.338, 5.132, -7.993], [-1.944, 4.417, 6.403], [-6.605, -1.032, 0.468], [2.395, 1.049, -5.102], [9.886, -1.089, -8.008], [-3.941, -2.855, 6.179], [10.220, 5.380, -6.639], [-2.100, 4.563, 2.402], [-4.213, -1.646, -3.849], [-5.217, -2.654, 4.954], [8.064, 0.197, -7.940], [9.888, 1.369, -4.568], [11.327, -0.501, -8.859], [-0.922, 1.471, -3.299], [-3.303, -7.685, 7.125], [5.277, 0.528, -3.844], [-5.666, -2.095, 0.489], [-5.338, -1.975, 2.529], [0.217, 2.027, -3.946], [-6.731, -0.612, 1.472], [-4.975, -7.963, 8.766], [-1.988, 2.216, 2.489], [-4.234, 3.693, 5.285], [-3.695, -3.511, 4.550], [-4.895, 5.318, 5.158], [3.085, 0.205, -5.027], [11.982, 5.291, -6.344], [-3.174, 0.172, -1.329], [-4.749, -3.431, 1.705], [11.612, 2.912, -4.950], [9.820, -0.763, -9.765], [-3.641, 5.284, 7.153], [1.983, 1.032, -6.108], [8.567, 1.893, -5.975], [-0.906, 5.542, 7.805], [-0.789, 5.120, 6.800], [-5.567, -2.713, 1.750], [1.291, 0.774, -4.175], [4.023, 2.308, -3.930], [-3.816, 0.902, 4.227], [-0.146, 2.275, -5.423], [-2.092, 0.030, -1.212], [-5.873, -6.995, 6.059], [-2.773, 2.686, 3.097], [-6.492, -3.243, 2.007], [-5.381, -8.819, 8.216], [5.285, 1.525, -4.286], [-5.800, -7.425, 9.229], [6.165, 2.012, -3.875], [-5.045, -5.119, 3.798], [-7.017, 0.755, -0.574]],
>>>
== Written answer ==
  "formula": "C27H65FN2O15S",